What to do =
The reader should write out everything underneath without additions.
Input =
No. 1
A molecular structure, C34H28AsCl3N4OSV, computed with the ωB97M-V functional and the def2-TZVPD basis.

CARTESIAN COORDINATES (ANGSTROEM)
V (0.23258, -0.44499, -0.03110)
C (-4.14741, -0.13865, 3.96462)
C (-2.76588, -0.21358, 4.59806)
N (-1.83351, -1.02304, 3.81902)
C (-1.19244, -0.57755, 2.73715)
S (-0.13009, -1.70986, 1.92319)
N (-1.35338, 0.68130, 2.38594)
N (-0.65287, 0.99938, 1.26877)
C (-0.63691, 2.24467, 0.92320)
C (-1.34180, 3.29142, 1.71443)
C (0.10847, 2.51935, -0.31288)
C (0.39336, 3.78883, -0.78918)
C (1.08856, 3.92460, -1.98062)
C (1.47242, 2.79347, -2.68099)
C (1.17304, 1.55649, -2.14230)
N (0.52055, 1.42241, -0.98420)
H (-4.80616, 0.47676, 4.57737)
H (-4.59178, -1.13040, 3.87767)
H (-4.08642, 0.30475, 2.97118)
H (-2.81930, -0.65729, 5.59141)
H (-2.33755, 0.78242, 4.69870)
H (-1.73086, -1.99939, 4.03818)
H (-0.91630, 3.35047, 2.71774)
H (-2.38508, 3.00032, 1.84076)
H (-1.29702, 4.26932, 1.24544)
H (0.08322, 4.66124, -0.23486)
H (1.32239, 4.90984, -2.36121)
H (2.00342, 2.85682, -3.61941)
H (1.46807, 0.64000, -2.63856)
Cl (-3.44152, -5.96140, -2.36294)
C (-2.24470, -4.77003, -1.99666)
C (-2.63690, -3.46653, -1.74663)
C (-1.65180, -2.54598, -1.45583)
Cl (-2.08770, -0.88595, -1.08233)
C (-0.29214, -2.84809, -1.40909)
O (0.63307, -1.93040, -1.13032)
C (0.05063, -4.18131, -1.65721)
Cl (1.71972, -4.62089, -1.58674)
C (-0.90673, -5.13418, -1.94861)
H (-3.67903, -3.18262, -1.77054)
H (-0.61131, -6.15650, -2.13572)
C (4.98531, -3.29409, 3.26827)
C (3.96971, -2.49256, 3.77165)
C (3.30184, -1.61234, 2.93510)
C (3.66687, -1.52574, 1.59579)
C (4.68566, -2.32344, 1.08934)
C (5.34110, -3.21171, 1.93035)
As (2.72685, -0.29272, 0.45543)
C (3.30919, 1.48385, 0.91209)
C (2.96539, 2.23136, 2.02645)
C (3.42247, 3.53856, 2.13102)
C (4.20363, 4.08451, 1.11889)
C (4.53631, 3.33747, -0.00181)
C (4.08984, 2.02541, -0.11552)
C (4.33667, 1.12142, -1.26163)
C (5.05135, 1.44017, -2.41093)
C (5.15930, 0.51048, -3.43552)
C (4.55310, -0.73703, -3.33297)
C (3.83263, -1.06815, -2.19266)
C (3.74425, -0.14315, -1.16355)
H (5.50009, -3.98507, 3.92247)
H (3.69323, -2.55825, 4.81554)
H (2.49414, -1.00426, 3.32424)
H (4.97579, -2.25057, 0.04918)
H (6.13350, -3.83603, 1.53958)
H (2.35152, 1.80433, 2.81137)
H (3.17519, 4.13117, 3.00188)
H (4.56039, 5.10222, 1.20718)
H (5.14608, 3.78003, -0.77926)
H (5.52494, 2.40834, -2.51285)
H (5.72083, 0.76148, -4.32580)
H (4.64028, -1.44900, -4.14277)
H (3.33593, -2.02828, -2.11355)

Calculated values
E_HOMO (spin up / spin down): -10.821 / -10.914 eV
frontier orbital gap (spin up / spin down): 7.48 / 7.30 eV
<S²>: 2.02
charge: +1
multiplicity: 3

---

No. 2
A molecular structure, C48H48AsCl3KNOP, computed with the ωB97M-V functional and the def2-TZVPD basis.

CARTESIAN COORDINATES (ANGSTROEM)
K (-0.10313, 0.05561, -0.60990)
C (2.72653, -2.84864, 2.06045)
C (1.41126, -2.77630, 1.62241)
C (1.11543, -2.97383, 0.28007)
C (2.13275, -3.24728, -0.62484)
C (3.44578, -3.32894, -0.18340)
C (3.74289, -3.12564, 1.15737)
H (2.95896, -2.67414, 3.10356)
H (0.61707, -2.56402, 2.32940)
H (0.09113, -2.90640, -0.07194)
H (1.89747, -3.38058, -1.67338)
H (4.24213, -3.53200, -0.88837)
H (4.77037, -3.16727, 1.49643)
Cl (-1.41909, -2.12993, -4.77442)
C (-1.95417, -0.56991, -4.22296)
C (-2.37387, 0.36100, -5.16746)
C (-2.79441, 1.60289, -4.77459)
Cl (-3.30720, 2.75012, -5.98685)
C (-2.81287, 1.95515, -3.40953)
C (-3.22557, 3.22044, -2.93714)
C (-3.19556, 3.48841, -1.59847)
C (-2.75422, 2.48544, -0.72242)
N (-2.37568, 1.29472, -1.12064)
C (-2.38661, 0.99931, -2.44391)
C (-1.91468, -0.33416, -2.83413)
O (-1.48776, -1.17599, -1.98967)
H (-2.36020, 0.09588, -6.21564)
H (-3.55156, 3.96601, -3.64933)
H (-3.49002, 4.45406, -1.21000)
H (-2.68669, 2.68283, 0.34312)
Cl (0.11944, 2.16863, 2.03775)
C (1.12294, 0.68560, 2.09016)
H (0.55415, -0.05773, 1.53045)
H (1.12537, 0.37389, 3.13464)
C (-6.66106, -3.66812, -0.40713)
C (-6.60073, -3.06410, 0.84305)
C (-5.41127, -2.51085, 1.29021)
C (-4.27421, -2.56033, 0.49001)
C (-4.34174, -3.14895, -0.76920)
Done =
No. 1
A molecular structure, C34H28AsCl3N4OSV, computed with the ωB97M-V functional and the def2-TZVPD basis.

CARTESIAN COORDINATES (ANGSTROEM)
V (0.23258, -0.44499, -0.03110)
C (-4.14741, -0.13865, 3.96462)
C (-2.76588, -0.21358, 4.59806)
N (-1.83351, -1.02304, 3.81902)
C (-1.19244, -0.57755, 2.73715)
S (-0.13009, -1.70986, 1.92319)
N (-1.35338, 0.68130, 2.38594)
N (-0.65287, 0.99938, 1.26877)
C (-0.63691, 2.24467, 0.92320)
C (-1.34180, 3.29142, 1.71443)
C (0.10847, 2.51935, -0.31288)
C (0.39336, 3.78883, -0.78918)
C (1.08856, 3.92460, -1.98062)
C (1.47242, 2.79347, -2.68099)
C (1.17304, 1.55649, -2.14230)
N (0.52055, 1.42241, -0.98420)
H (-4.80616, 0.47676, 4.57737)
H (-4.59178, -1.13040, 3.87767)
H (-4.08642, 0.30475, 2.97118)
H (-2.81930, -0.65729, 5.59141)
H (-2.33755, 0.78242, 4.69870)
H (-1.73086, -1.99939, 4.03818)
H (-0.91630, 3.35047, 2.71774)
H (-2.38508, 3.00032, 1.84076)
H (-1.29702, 4.26932, 1.24544)
H (0.08322, 4.66124, -0.23486)
H (1.32239, 4.90984, -2.36121)
H (2.00342, 2.85682, -3.61941)
H (1.46807, 0.64000, -2.63856)
Cl (-3.44152, -5.96140, -2.36294)
C (-2.24470, -4.77003, -1.99666)
C (-2.63690, -3.46653, -1.74663)
C (-1.65180, -2.54598, -1.45583)
Cl (-2.08770, -0.88595, -1.08233)
C (-0.29214, -2.84809, -1.40909)
O (0.63307, -1.93040, -1.13032)
C (0.05063, -4.18131, -1.65721)
Cl (1.71972, -4.62089, -1.58674)
C (-0.90673, -5.13418, -1.94861)
H (-3.67903, -3.18262, -1.77054)
H (-0.61131, -6.15650, -2.13572)
C (4.98531, -3.29409, 3.26827)
C (3.96971, -2.49256, 3.77165)
C (3.30184, -1.61234, 2.93510)
C (3.66687, -1.52574, 1.59579)
C (4.68566, -2.32344, 1.08934)
C (5.34110, -3.21171, 1.93035)
As (2.72685, -0.29272, 0.45543)
C (3.30919, 1.48385, 0.91209)
C (2.96539, 2.23136, 2.02645)
C (3.42247, 3.53856, 2.13102)
C (4.20363, 4.08451, 1.11889)
C (4.53631, 3.33747, -0.00181)
C (4.08984, 2.02541, -0.11552)
C (4.33667, 1.12142, -1.26163)
C (5.05135, 1.44017, -2.41093)
C (5.15930, 0.51048, -3.43552)
C (4.55310, -0.73703, -3.33297)
C (3.83263, -1.06815, -2.19266)
C (3.74425, -0.14315, -1.16355)
H (5.50009, -3.98507, 3.92247)
H (3.69323, -2.55825, 4.81554)
H (2.49414, -1.00426, 3.32424)
H (4.97579, -2.25057, 0.04918)
H (6.13350, -3.83603, 1.53958)
H (2.35152, 1.80433, 2.81137)
H (3.17519, 4.13117, 3.00188)
H (4.56039, 5.10222, 1.20718)
H (5.14608, 3.78003, -0.77926)
H (5.52494, 2.40834, -2.51285)
H (5.72083, 0.76148, -4.32580)
H (4.64028, -1.44900, -4.14277)
H (3.33593, -2.02828, -2.11355)

Calculated values
E_HOMO (spin up / spin down): -10.821 / -10.914 eV
frontier orbital gap (spin up / spin down): 7.48 / 7.30 eV
<S²>: 2.02
charge: +1
multiplicity: 3

---

No. 2
A molecular structure, C48H48AsCl3KNOP, computed with the ωB97M-V functional and the def2-TZVPD basis.

CARTESIAN COORDINATES (ANGSTROEM)
K (-0.10313, 0.05561, -0.60990)
C (2.72653, -2.84864, 2.06045)
C (1.41126, -2.77630, 1.62241)
C (1.11543, -2.97383, 0.28007)
C (2.13275, -3.24728, -0.62484)
C (3.44578, -3.32894, -0.18340)
C (3.74289, -3.12564, 1.15737)
H (2.95896, -2.67414, 3.10356)
H (0.61707, -2.56402, 2.32940)
H (0.09113, -2.90640, -0.07194)
H (1.89747, -3.38058, -1.67338)
H (4.24213, -3.53200, -0.88837)
H (4.77037, -3.16727, 1.49643)
Cl (-1.41909, -2.12993, -4.77442)
C (-1.95417, -0.56991, -4.22296)
C (-2.37387, 0.36100, -5.16746)
C (-2.79441, 1.60289, -4.77459)
Cl (-3.30720, 2.75012, -5.98685)
C (-2.81287, 1.95515, -3.40953)
C (-3.22557, 3.22044, -2.93714)
C (-3.19556, 3.48841, -1.59847)
C (-2.75422, 2.48544, -0.72242)
N (-2.37568, 1.29472, -1.12064)
C (-2.38661, 0.99931, -2.44391)
C (-1.91468, -0.33416, -2.83413)
O (-1.48776, -1.17599, -1.98967)
H (-2.36020, 0.09588, -6.21564)
H (-3.55156, 3.96601, -3.64933)
H (-3.49002, 4.45406, -1.21000)
H (-2.68669, 2.68283, 0.34312)
Cl (0.11944, 2.16863, 2.03775)
C (1.12294, 0.68560, 2.09016)
H (0.55415, -0.05773, 1.53045)
H (1.12537, 0.37389, 3.13464)
C (-6.66106, -3.66812, -0.40713)
C (-6.60073, -3.06410, 0.84305)
C (-5.41127, -2.51085, 1.29021)
C (-4.27421, -2.56033, 0.49001)
C (-4.34174, -3.14895, -0.76920)